Input
~~~
# 1
Below is ErFeRu at its PBEsol-relaxed geometry, with properties calculated at the SCAN level.

Structure (POSCAR):
```
ErFeRu
1.0
-2.493 2.640 3.613
2.493 -2.640 3.613
2.493 2.640 -3.613
Er Fe Ru
2 2 2
Direct
0.374 0.124 0.250
0.626 0.876 0.750
0.000 0.000 0.500
0.000 0.500 0.000
0.000 0.500 0.500
0.500 0.500 0.000
```

Output
**Calculated formation energy**: -341 meV/atom
**Space group**: No. 74

# 2
Below is ScIN2O at its PBEsol-relaxed geometry, with properties calculated at the SCAN level.

Structure (POSCAR):
```
ScIN2O
1.0
4.104 0.000 0.000
0.000 4.104 0.000
0.000 0.000 3.950
Sc I N O
1 1 2 1
Direct
0.000 0.000 0.000
0.500 0.500 0.000
0.000 0.500 0.500
0.500 0.000 0.500
0.500 0.500 0.500
```

Output
**VASP energy**: -1.02125 Ry/atom
**Space group**: No. 123

# 3
Below is Nd3Ni at its PBEsol-relaxed geometry, with properties calculated at the SCAN level.

Structure (POSCAR):
```
Nd3Ni
1.0
6.920 0.000 0.000
0.000 9.792 0.000
0.000 0.000 6.377
Nd Ni
12 4
Direct
0.033 0.250 0.143
0.176 0.066 0.673
0.176 0.434 0.673
0.324 0.566 0.173
0.324 0.934 0.173
0.467 0.750 0.643
0.533 0.250 0.357
0.676 0.066 0.827
0.676 0.434 0.827
0.824 0.566 0.327
0.824 0.934 0.327
0.967 0.750 0.857
0.114 0.750 0.430
0.386 0.250 0.930
0.614 0.750 0.070
0.886 0.250 0.570
```

Output
**Calculated formation energy**: -182 meV/atom
**Space group**: No. 62

# 4
Below is NiSbW2 at its PBEsol-relaxed geometry, with properties calculated at the SCAN level.

Structure (POSCAR):
```
NiSbW2
1.0
3.001 0.000 0.000
0.000 3.001 0.000
0.000 0.000 6.856
Ni Sb W
1 1 2
Direct
0.000 0.000 0.000
0.000 0.000 0.500
0.500 0.500 0.221
0.500 0.500 0.779
```

Output
**VASP energy**: -3.49146 Ry/atom
**Space group**: No. 123

# 5
Below is NbH3Ru at its PBEsol-relaxed geometry, with properties calculated at the SCAN level.

Structure (POSCAR):
```
NbH3Ru
1.0
3.423 0.000 0.000
0.000 3.423 0.000
0.000 0.000 3.423
Nb H Ru
1 3 1
Direct
0.000 0.000 0.000
0.000 0.500 0.500
0.500 0.000 0.500
0.500 0.500 0.000
0.500 0.500 0.500
```

Output
**VASP energy**: -1.14297 Ry/atom
**Space group**: No. 221

# 6
Below is In2CuSe3Br at its PBEsol-relaxed geometry, with properties calculated at the SCAN level.

Structure (POSCAR):
```
In2CuSe3Br
1.0
5.673 0.000 0.000
-0.026 5.721 0.000
-2.712 -2.808 5.783
In Cu Se Br
2 1 3 1
Direct
0.000 0.000 0.000
0.290 0.730 0.458
0.576 0.434 0.011
0.442 0.320 0.247
0.662 0.134 0.711
0.857 0.846 0.245
0.165 0.592 0.744
```

Output
**VASP energy**: -1.73785 Ry/atom
**Space group**: No. 1

# 7
Below is LiCuAg2 at its PBEsol-relaxed geometry, with properties calculated at the SCAN level.

Structure (POSCAR):
```
LiCuAg2
1.0
2.776 0.000 0.000
0.000 2.776 0.000
0.000 0.000 7.620
Li Cu Ag
1 1 2
Direct
0.000 0.000 0.000
0.000 0.000 0.500
0.500 0.500 0.260
0.500 0.500 0.740
```

Output
**Calculated formation energy**: -27 meV/atom
**Space group**: No. 123

# 8
Below is MgTc2W at its PBEsol-relaxed geometry, with properties calculated at the SCAN level.

Structure (POSCAR):
```
MgTc2W
1.0
1.403 0.810 9.050
-1.403 0.810 9.050
0.000 -1.620 9.050
Mg Tc W
1 2 1
Direct
0.000 0.000 0.000
0.246 0.246 0.246
0.754 0.754 0.754
0.500 0.500 0.500
```

Output
**Calculated formation energy**: 245 meV/atom
**Space group**: No. 166

# 9
Below is K2Tl at its PBEsol-relaxed geometry, with properties calculated at the SCAN level.

Structure (POSCAR):
```
K2Tl
1.0
3.074 -10.757 0.000
3.074 10.757 0.000
0.000 0.000 4.154
K Tl
4 2
Direct
0.079 0.921 0.750
0.307 0.693 0.250
0.693 0.307 0.750
0.921 0.079 0.250
0.448 0.552 0.750
0.552 0.448 0.250
```

Output
**Offset from the most stable computed form**: 1 meV per atom
**Calculated formation energy**: -117 meV/atom
**Space group**: No. 63

# 10
Below is BaMg2Mo at its PBEsol-relaxed geometry, with properties calculated at the SCAN level.

Structure (POSCAR):
```
BaMg2Mo
1.0
1.556 0.898 11.101
-1.556 0.898 11.101
0.000 -1.797 11.101
Ba Mg Mo
1 2 1
Direct
0.000 0.000 0.000
0.236 0.236 0.236
0.764 0.764 0.764
0.500 0.500 0.500
```

Output
~~~

Job
It remains to give back the whole of the listing above verbatim.

Response
# 1
Below is ErFeRu at its PBEsol-relaxed geometry, with properties calculated at the SCAN level.

Structure (POSCAR):
```
ErFeRu
1.0
-2.493 2.640 3.613
2.493 -2.640 3.613
2.493 2.640 -3.613
Er Fe Ru
2 2 2
Direct
0.374 0.124 0.250
0.626 0.876 0.750
0.000 0.000 0.500
0.000 0.500 0.000
0.000 0.500 0.500
0.500 0.500 0.000
```

Output
**Calculated formation energy**: -341 meV/atom
**Space group**: No. 74

# 2
Below is ScIN2O at its PBEsol-relaxed geometry, with properties calculated at the SCAN level.

Structure (POSCAR):
```
ScIN2O
1.0
4.104 0.000 0.000
0.000 4.104 0.000
0.000 0.000 3.950
Sc I N O
1 1 2 1
Direct
0.000 0.000 0.000
0.500 0.500 0.000
0.000 0.500 0.500
0.500 0.000 0.500
0.500 0.500 0.500
```

Output
**VASP energy**: -1.02125 Ry/atom
**Space group**: No. 123

# 3
Below is Nd3Ni at its PBEsol-relaxed geometry, with properties calculated at the SCAN level.

Structure (POSCAR):
```
Nd3Ni
1.0
6.920 0.000 0.000
0.000 9.792 0.000
0.000 0.000 6.377
Nd Ni
12 4
Direct
0.033 0.250 0.143
0.176 0.066 0.673
0.176 0.434 0.673
0.324 0.566 0.173
0.324 0.934 0.173
0.467 0.750 0.643
0.533 0.250 0.357
0.676 0.066 0.827
0.676 0.434 0.827
0.824 0.566 0.327
0.824 0.934 0.327
0.967 0.750 0.857
0.114 0.750 0.430
0.386 0.250 0.930
0.614 0.750 0.070
0.886 0.250 0.570
```

Output
**Calculated formation energy**: -182 meV/atom
**Space group**: No. 62

# 4
Below is NiSbW2 at its PBEsol-relaxed geometry, with properties calculated at the SCAN level.

Structure (POSCAR):
```
NiSbW2
1.0
3.001 0.000 0.000
0.000 3.001 0.000
0.000 0.000 6.856
Ni Sb W
1 1 2
Direct
0.000 0.000 0.000
0.000 0.000 0.500
0.500 0.500 0.221
0.500 0.500 0.779
```

Output
**VASP energy**: -3.49146 Ry/atom
**Space group**: No. 123

# 5
Below is NbH3Ru at its PBEsol-relaxed geometry, with properties calculated at the SCAN level.

Structure (POSCAR):
```
NbH3Ru
1.0
3.423 0.000 0.000
0.000 3.423 0.000
0.000 0.000 3.423
Nb H Ru
1 3 1
Direct
0.000 0.000 0.000
0.000 0.500 0.500
0.500 0.000 0.500
0.500 0.500 0.000
0.500 0.500 0.500
```

Output
**VASP energy**: -1.14297 Ry/atom
**Space group**: No. 221

# 6
Below is In2CuSe3Br at its PBEsol-relaxed geometry, with properties calculated at the SCAN level.

Structure (POSCAR):
```
In2CuSe3Br
1.0
5.673 0.000 0.000
-0.026 5.721 0.000
-2.712 -2.808 5.783
In Cu Se Br
2 1 3 1
Direct
0.000 0.000 0.000
0.290 0.730 0.458
0.576 0.434 0.011
0.442 0.320 0.247
0.662 0.134 0.711
0.857 0.846 0.245
0.165 0.592 0.744
```

Output
**VASP energy**: -1.73785 Ry/atom
**Space group**: No. 1

# 7
Below is LiCuAg2 at its PBEsol-relaxed geometry, with properties calculated at the SCAN level.

Structure (POSCAR):
```
LiCuAg2
1.0
2.776 0.000 0.000
0.000 2.776 0.000
0.000 0.000 7.620
Li Cu Ag
1 1 2
Direct
0.000 0.000 0.000
0.000 0.000 0.500
0.500 0.500 0.260
0.500 0.500 0.740
```

Output
**Calculated formation energy**: -27 meV/atom
**Space group**: No. 123

# 8
Below is MgTc2W at its PBEsol-relaxed geometry, with properties calculated at the SCAN level.

Structure (POSCAR):
```
MgTc2W
1.0
1.403 0.810 9.050
-1.403 0.810 9.050
0.000 -1.620 9.050
Mg Tc W
1 2 1
Direct
0.000 0.000 0.000
0.246 0.246 0.246
0.754 0.754 0.754
0.500 0.500 0.500
```

Output
**Calculated formation energy**: 245 meV/atom
**Space group**: No. 166

# 9
Below is K2Tl at its PBEsol-relaxed geometry, with properties calculated at the SCAN level.

Structure (POSCAR):
```
K2Tl
1.0
3.074 -10.757 0.000
3.074 10.757 0.000
0.000 0.000 4.154
K Tl
4 2
Direct
0.079 0.921 0.750
0.307 0.693 0.250
0.693 0.307 0.750
0.921 0.079 0.250
0.448 0.552 0.750
0.552 0.448 0.250
```

Output
**Offset from the most stable computed form**: 1 meV per atom
**Calculated formation energy**: -117 meV/atom
**Space group**: No. 63

# 10
Below is BaMg2Mo at its PBEsol-relaxed geometry, with properties calculated at the SCAN level.

Structure (POSCAR):
```
BaMg2Mo
1.0
1.556 0.898 11.101
-1.556 0.898 11.101
0.000 -1.797 11.101
Ba Mg Mo
1 2 1
Direct
0.000 0.000 0.000
0.236 0.236 0.236
0.764 0.764 0.764
0.500 0.500 0.500
```

Output